This week we launch our five-part Fronteras Desk series, The Search For Tolerance. Five reporters in five cities checked on the ways that communities are trying to prevent hate crimes. The stories air on several public radio stations in the Southwest this week.
But as communities work to prevent hate, a question often arises when some form of harassment or discrimination does occur: Was that a hate crime?
During the last few decades, the vast majority of states have added hate crime laws to their books. These statutes allow longer criminal sentences if there is evidence that a crime was motivated by bias.
[1]
This record from the Alexandria database describes crystalline SrScAl at its relaxed geometry. The functional is PBE-GGA.

Unit cell a=4.8264 b=4.8264 c=10.0171 alpha=90.00 beta=90.00 gamma=120.00
Element x y z (fractional)
1 Sr 0.3333 0.6667 0.3201
2 Sr 0.6667 0.3333 0.6799
3 Sc 0.3333 0.6667 0.9370
4 Sc 0.6667 0.3333 0.0630
5 Al 0.0000 0.0000 0.1320
6 Al 0.0000 0.0000 0.8680

Properties
Formation enthalpy at 0 K (eV/atom): -0.102
Distance to the lowest polymorph of the same formula (eV per atom): 0.071
D(E_F) (states/eV per cell): 5.2
Symmetry: P-3m1


[2]
This record from the Alexandria database describes crystalline SrScAl at its relaxed geometry. The functional is PBE-GGA.

Unit cell a=4.9158 b=4.9158 c=7.9314 alpha=90.00 beta=90.00 gamma=90.00
Element x y z (fractional)
1 Sr 0.2500 0.2500 0.1799
2 Sr 0.7500 0.7500 0.8201
3 Sc 0.2500 0.2500 0.6686
4 Sc 0.7500 0.7500 0.3314
5 Al 0.2500 0.7500 0.5000
6 Al 0.7500 0.2500 0.5000

Properties
Formation enthalpy at 0 K (eV/atom): 0.007
Distance to the lowest polymorph of the same formula (eV per atom): 0.179
D(E_F) (states/eV per cell): 7.4
Symmetry: P4/nmm


[3]
This record from the Alexandria database describes crystalline SrScAl at its relaxed geometry. The functional is PBE-GGA.

Unit cell a=3.5951 b=3.5951 c=13.2356 alpha=90.00 beta=90.00 gamma=90.00
Element x y z (fractional)
1 Sr 0.0000 0.0000 0.0000
2 Sr 0.5000 0.5000 0.2680
3 Sc 0.0000 0.0000 0.4814
4 Sc 0.0000 0.0000 0.7209
5 Al 0.5000 0.5000 0.6013
6 Al 0.5000 0.5000 0.8314

Properties
Formation enthalpy at 0 K (eV/atom): -0.145
Distance to the lowest polymorph of the same formula (eV per atom): 0.028
D(E_F) (states/eV per cell): 9.2
Symmetry: P4mm


[4]
This record from the Alexandria database describes crystalline Sr3ScAl at its relaxed geometry. The functional is PBE-GGA.

Unit cell a=6.2148 b=6.2148 c=6.2148 alpha=90.00 beta=90.00 gamma=90.00
Element x y z (fractional)
1 Sr 0.0000 0.0000 0.5000
2 Sr 0.0000 0.5000 0.0000
3 Sr 0.5000 0.0000 0.0000
4 Sc 0.0000 0.0000 0.0000
5 Al 0.5000 0.5000 0.5000

Properties
Formation enthalpy at 0 K (eV/atom): 0.867
Distance to the lowest polymorph of the same formula (eV per atom): 0.395
D(E_F) (states/eV per cell): 4.0
Symmetry: Pm-3m


[5]
This record from the Alexandria database describes crystalline SrScAl at its relaxed geometry. The functional is PBE-GGA.

Unit cell a=3.7246 b=3.7246 c=12.5033 alpha=90.00 beta=90.00 gamma=90.00
Element x y z (fractional)
1 Sr 0.2500 0.2500 0.1400
2 Sr 0.7500 0.7500 0.8600
3 Sc 0.2500 0.2500 0.4253
4 Sc 0.7500 0.7500 0.5747
5 Al 0.2500 0.2500 0.6785
6 Al 0.7500 0.7500 0.3215

Properties
Formation enthalpy at 0 K (eV/atom): -0.172
Distance to the lowest polymorph of the same formula (eV per atom): 0.000
D(E_F) (states/eV per cell): 4.5
Symmetry: P4/nmm


[6]
This record from the Alexandria database describes crystalline SrScAl at its relaxed geometry. The functional is PBE-GGA.

Unit cell a=3.6358 b=3.6358 c=12.9585 alpha=90.00 beta=90.00 gamma=90.00
At a recent town meeting in the Phoenix suburb of Gilbert, concerned residents and the police chief entered into a dialogue about the legal definition of a hate crime.
Their discussion focused on the case of Felix Bermea and Roy Messerschmidt, a same-sex couple who recently moved their four foster children to a home in Gilbert, where they say they have been been harassed for the past several months. The couple has reported a break in, a phallic drawing outside their home, repeated knocking on their front door, and a fire set to the bushes on their property line.
"While legally this is not considered a hate crime, in my opinion and in the opinion of a lot of the gay community, it is a hate crime," said concerned citizen Forrest Kruger at a community meeting on July 11. Kruger was one of several people who had heard of the Bermea-Messerschmidt family's situation and felt the Gilbert police were not taking the harassment seriously enough. "These people are being targeted, and they have been terrorized for months now, when does it stop?"
So far, both the local chapter of the Anti-Defamation League and the Gilbert Police Department have said there is not enough information to classify the incident as a hate crime, since the perpetrators haven't been caught, and their intent is still unknown.
"I believe that they believe that they are being targeted because of their sexual orientation," Gilbert Police Chief Tim Dorn responded during the meeting. "If I was in their shoes i would probably think that I was being targeted, too."
But Dorn went on to say, "We have to determine what the motivation is, we can't go on perception, or opinion."
There is no criminal charge that is a hate crime in Arizona. Instead it is a sentencing enhancer for another crime.
Dorn said his agency is investigating the crimes that occurred at the residence, such as criminal trespass in a residential structure and arson. At a later date if there is evidence that the crimes were motivated by homophobic or racist attitudes, then they could be classified as hate crimes. That would mean the perpetrators could face a longer sentence.
Michael Lieberman, a lawyer for the Anti-Defamation League, explained the rationale for these hate crime laws and accompanying harsher sentences in a 2010 essay in Dissent Magazine. He wrote that while it is best to prevent hate crimes from happening in the first place, "when these crimes do occur, we must send an unmistakable message that they matter, that our society takes them very seriously."
-- begin --
Entry 1:
First-principles (GGA-PBEsol) data for a relaxed K2PdBr3Cl crystal, as listed in the Alexandria database.

a b c (Å): 4.226 7.235 7.235
angles (deg): 87.04 90.00 90.00
Fractional positions:
K 0.500 0.988 0.510
K 0.500 0.510 0.988
Br 0.000 0.229 0.229
Br 0.000 0.755 0.242
Br 0.000 0.242 0.755
Pd 0.000 0.998 0.998
Cl 0.000 0.778 0.778

Properties
Formation energy (no corrections) = -1.1995 eV/atom
DFT total energy = -24.2 eV for the cell shown

---

Entry 2:
First-principles (GGA-PBEsol) data for a relaxed AlFeSe2 crystal, as listed in the Alexandria database.

a b c (Å): 2.940 4.513 6.238
angles (deg): 105.06 90.00 109.01
Fractional positions:
Se 0.936 0.872 0.904
Se 0.772 0.543 0.355
Al 0.525 0.051 0.576
Fe 0.267 0.534 0.665

Properties
Formation energy (no corrections) = -0.1664 eV/atom
DFT total energy = -21.4 eV for the cell shown
DOS(E_F) = 1.956 states/eV per cell

---

Entry 3:
First-principles (GGA-PBEsol) data for a relaxed TlSn2Bi crystal, as listed in the Alexandria database.

a b c (Å): 5.418 5.418 5.418
angles (deg): 60.00 60.00 60.00
Fractional positions:
Bi 0.500 0.500 0.500
Sn 0.750 0.750 0.750
Sn 0.250 0.250 0.250
Tl 0.000 0.000 0.000

Properties
DFT total energy = -15.2 eV for the cell shown
Formation energy = 56 meV per atom
DOS(E_F) = 2.781 states/eV per cell

---

Entry 4:
First-principles (GGA-PBEsol) data for a relaxed Al2AgAu crystal, as listed in the Alexandria database.

a b c (Å): 2.888 2.888 7.797
angles (deg): 90.00 90.00 90.00
Fractional positions:
Ag 0.500 0.500 0.240
Al 0.000 0.000 0.998
Al 0.500 0.500 0.744
Au 0.000 0.000 0.517

Properties
DFT total energy = -15.9 eV for the cell shown
Formation energy = -124 meV per atom
DOS(E_F) = 1.530 states/eV per cell

---

Entry 5:
First-principles (GGA-PBEsol) data for a relaxed Be2CdTe crystal, as listed in the Alexandria database.

a b c (Å): 3.559 3.874 5.539
angles (deg): 90.00 90.00 90.00
Fractional positions:
Cd 0.500 0.000 0.000
Te 0.500 0.500 0.500
Be 0.000 0.500 0.188
Be 0.000 0.500 0.812

Properties
Energy above the most stable polymorph in this dataset = 0.00 kJ per mole of atoms
Formation energy (no corrections) = 0.4171 eV/atom
DFT total energy = -11.1 eV for the cell shown
DOS(E_F) = 1.173 states/eV per cell

---

Entry 6:
First-principles (GGA-PBEsol) data for a relaxed Mn2NiP crystal, as listed in the Alexandria database.

a b c (Å): 2.737 3.889 4.565
angles (deg): 115.21 107.44 90.00
Fractional positions:
P 0.247 0.747 0.495
Ni 0.526 0.526 0.052
Mn 0.748 0.248 0.496
Mn 0.978 0.978 0.957

Properties
DFT total energy = -32.5 eV for the cell shown
Formation energy = -253 meV per atom
DOS(E_F) = 3.026 states/eV per cell

---

Entry 7:
First-principles (GGA-PBEsol) data for a relaxed CaPt3 crystal, as listed in the Alexandria database.

a b c (Å): 2.880 4.721 4.863
angles (deg): 90.00 90.00 90.00
Fractional positions:
Ca 0.000 0.000 0.974
Pt 0.000 0.500 0.374
Pt 0.500 0.000 0.466
Pt 0.500 0.500 0.853

Properties
-- stop --
Which explains why emotions can run hot when there is a clash between what community members believe was a hate crime, and the legal definition according to law enforcement.
So far the fact that the recent harassment in Gilbert doesn't necessarily constitute a hate crime isn't preventing a town response. The Arizona Republic reported the town is intensifying its efforts to promote tolerance, and the police department said it would appoint a part-time diversity officer.